The Infosys Prize 2023 in Mathematical Sciences is awarded to Prof. Bhargav Bhatt for his outstanding contributions to arithmetic geometry and commutative algebra. Bhatt’s fundamental work on prismatic cohomology (joint with Peter Scholze), his work around the direct summand conjecture in commutative algebra, introduces new ideas and powerful methods in an area at the heart of pure mathematics.
The shape of things
[Unrelated to this article: data records]
/*
# Li3CoO4
Theoretical powder diffraction line list, a wavelength of 1.5418 Å. Input: a cell relaxed with GGA+U.
Neutral-atom scattering factors, no anomalous dispersion.

Crystal structure
Cell: 4.908 4.908 4.874 Å, 101.85 101.85 33.68°
Fractional coordinates of all 8 atoms:
Li 0.000 0.000 0.000
Li 0.252 0.252 0.762
Li 0.748 0.748 0.238
Co 0.500 0.500 0.500
O 0.112 0.112 0.391
O 0.383 0.383 0.157
O 0.617 0.617 0.843
O 0.888 0.888 0.609

The 10 most intense peaks (10 to 80 degrees two-theta), by angle:
2θ/deg	intensity
18.6	100
19.3	99
23.9	61
29.8	21
33.0	36
37.0	26
44.9	88
46.6	38
66.3	24
67.1	20

~~~~~

(1)
PdCl2: theoretical powder XRD pattern (Cu Ka), based on a cell relaxed with PBE.
Neutral-atom scattering factors, no anomalous dispersion.

Top 6 peaks for 2θ = 10–90°, in order of rising 2θ:
hkl, d/Å, Rel. int.
0 0 2, 6.322, 100.0
0 2 0, 3.492, 37.8
0 2 1, 3.366, 44.8
1 1 3, 2.478, 71.5
1 1 5, 1.950, 33.0
1 3 4, 1.642, 21.8

Structure:
a b c (Å): 3.409 6.984 12.644
angles (deg): 90.00 90.00 90.00
Space group Pmn2_1 (No. 31)
Symmetry-distinct sites (fractional):
Pd 0.000 0.058 0.000
Pd 0.000 0.440 0.493
Cl 0.000 0.551 0.119
Cl 0.000 0.569 0.868
Cl 0.000 0.931 0.374
Cl 0.000 0.950 0.625


(2)
TbTlNiTe3: theoretical powder XRD pattern (Cu Ka), based on a cell relaxed with PBE.
Neutral-atom scattering factors, no anomalous dispersion.

Top 6 peaks for 2θ = 10–90°, in order of rising 2θ:
hkl, d/Å, Rel. int.
1 0 5, 3.222, 49.9
2 1 1, 3.088, 69.9
2 1 2, 2.950, 100.0
1 1 4, 2.916, 49.3
3 0 2, 2.817, 28.5
0 2 0, 2.204, 47.9

Structure:
a b c (Å): 8.940 4.408 17.269
angles (deg): 90.00 90.00 90.00
Space group Pnma (No. 62)
Symmetry-distinct sites (fractional):
Tb 0.227 0.250 0.046
Tl 0.082 0.750 0.291
Ni 0.129 0.750 0.865
Te 0.009 0.250 0.904
Te 0.128 0.250 0.447
Te 0.186 0.750 0.720


(3)
NdGePt2: theoretical powder XRD pattern (Cu Ka), based on a cell relaxed with PBE.
Neutral-atom scattering factors, no anomalous dispersion.

Top 6 peaks for 2θ = 10–90°, in order of rising 2θ:
hkl, d/Å, Rel. int.
0 1 1, 3.503, 37.7
2 0 -1, 2.688, 76.5
1 1 -2, 2.468, 35.2
1 1 2, 2.391, 100.0
2 1 -1, 2.229, 72.1
0 2 0, 1.999, 43.9

Structure:
a b c (Å): 5.661 3.998 7.282
angles (deg): 90.00 93.18 90.00
Space group P2_1/m (No. 11)
Symmetry-distinct sites (fractional):
Nd 0.167 0.250 0.203
Ge 0.385 0.250 0.680
Pt 0.197 0.750 0.511
Pt 0.344 0.750 0.913
*/
Scope and Impact of Work
Prof. Bhargav Bhatt’s two main research areas are p-adic geometry (in the shape of p-adic Hodge theory) and commutative algebra. Prof. Bhatt has made groundbreaking contributions to both areas and his research has revealed completely unexpected relationships between the two, showing that the deepest questions in both have surprising and very close connections. The theory of prismatic cohomology of Bhatt and Scholze represents a truly fundamental discovery in arithmetic algebraic geometry, which will eventually be part of the standard toolkit of every mathematician working in the area. It has already attracted a huge amount of attention and given rise to many applications. Prof. Bhatt is at the forefront of these developments. He is among the top leaders in arithmetic algebraic geometry worldwide.
Prismatic cohomology is the right theory of p-adic cohomology of p-adic schemes which unifies all the previously existing theories and sheds new light on the structure of those. Much work by mathematicians over the past five decades can now be viewed retrospectively as steps toward the Bhatt-Scholze theory of prismatic cohomology.
[Between two parts of the text: data records]
Starting from a cell relaxed with GGA-PBE, the XRD peak list of BaPa3O8 was computed for Cu Kα.
Neutral-atom scattering factors, no anomalous dispersion.

Crystal structure
Cell: 7.1189 7.1189 19.8913 Å, 90.00 90.00 120.00°
Space group R-3m (No. 166, hexagonal axes)
Symmetry-distinct sites (fractional):
Ba  0.0000  0.0000  0.0000 (multiplicity 3)
Pa  0.0000  0.5000  0.5000 (multiplicity 9)
O  0.0000  0.0000  0.2193 (multiplicity 6)
O  0.0608  0.5304  0.7775 (multiplicity 18)

Top 12 peaks for 2θ = 10–90°, most intense first:
(0 0 3), 13.35 deg, I = 100
(1 0 1), 15.04 deg, I = 91
(0 2 4), 34.22 deg, I = 68
(2 0 2), 30.36 deg, I = 55
(0 2 1), 29.32 deg, I = 34
(1 1 3), 28.46 deg, I = 33
(0 0 6), 26.89 deg, I = 29
(2 0 8), 46.95 deg, I = 24
(2 2 6), 58.90 deg, I = 22
(2 2 0), 51.34 deg, I = 22
(0 2 7), 43.31 deg, I = 19
(0 1 5), 26.67 deg, I = 19

=====

Starting from a cell relaxed with GGA-PBE, the XRD peak list of Ho6GaCu2 was computed for Cu Kα.
Neutral-atom scattering factors, no anomalous dispersion.

Crystal structure
Cell: 9.319 9.684 10.004 Å, 90.00 90.00 90.00°
Space group Immm (No. 71)
Symmetry-distinct sites (fractional):
Ho  0.000  0.192  0.241 (multiplicity 8)
Ho  0.198  0.500  0.175 (multiplicity 8)
Ho  0.224  0.319  0.500 (multiplicity 8)
Ga  0.000  0.000  0.000 (multiplicity 2)
Ga  0.000  0.000  0.500 (multiplicity 2)
Cu  0.000  0.345  0.000 (multiplicity 4)
Cu  0.000  0.500  0.379 (multiplicity 4)

Top 12 peaks for 2θ = 10–90°, most intense first:
(1 3 2), 34.40 deg, I = 100
(2 2 2), 32.11 deg, I = 94
(2 3 1), 34.99 deg, I = 48
(4 0 0), 38.65 deg, I = 27
(5 3 2), 60.25 deg, I = 27
(3 1 0), 30.21 deg, I = 24
(2 0 2), 26.14 deg, I = 21
(0 1 3), 28.31 deg, I = 20
(0 2 4), 40.60 deg, I = 19
(0 3 1), 29.07 deg, I = 19
(2 5 3), 58.57 deg, I = 18
(3 2 1), 35.49 deg, I = 17

=====

Starting from a cell relaxed with GGA-PBE, the XRD peak list of Nd2Tm2Hg3 was computed for Cu Kα.
Neutral-atom scattering factors, no anomalous dispersion.

Crystal structure
Cell: 5.1901 5.1901 25.8879 Å, 90.00 90.00 120.00°
Space group R-3m (No. 166, hexagonal axes)
Symmetry-distinct sites (fractional):
Nd  0.0000  0.0000  0.1272 (multiplicity 6)
Tm  0.0000  0.0000  0.3762 (multiplicity 6)
Hg  0.0000  0.0000  0.0000 (multiplicity 3)
Hg  0.0000  0.0000  0.2536 (multiplicity 6)

Top 12 peaks for 2θ = 10–90°, most intense first:
(0 1 8), 34.14 deg, I = 100
(1 1 0), 34.56 deg, I = 98
(1 2 8), 61.66 deg, I = 37
(2 0 8), 49.37 deg, I = 36
(0 0 3), 10.25 deg, I = 21
(3 0 0), 61.93 deg, I = 18
(1 0 16), 60.85 deg, I = 18
(3 1 8), 83.01 deg, I = 16
(2 1 16), 82.29 deg, I = 16
(2 2 0), 72.90 deg, I = 12
(0 2 16), 71.90 deg, I = 11
(0 1 2), 20.92 deg, I = 9

=====

Starting from a cell relaxed with GGA-PBE, the XRD peak list of Ac2YAgO6 was computed for Cu Kα.
Neutral-atom scattering factors, no anomalous dispersion.

Crystal structure
Cell: 5.700 5.700 5.341 Å, 90.00 90.00 90.00°
Space group P4mm (No. 99)
Symmetry-distinct sites (fractional):
Prof. Bhargav Bhatt is the Fernholz Joint Professor at the Institute of Advanced Study and Princeton University since 2022. He has been on the faculty at the University of Michigan as Gehring Professor, since 2014. He obtained his Ph.D. from Princeton University in 2010, and his B.S. in Applied Mathematics from Columbia University in 2005. He was born in Mumbai and studied until high school there.
Prof. Bhatt’s work has been recognized by a number of prestigious prizes: Clay Research Award (2021), New Horizons Prize in Mathematics (2021), Nemmers Prize (2022). He was a Plenary speaker at the International Congress of Mathematicians in 2022.
Jury Citation
Prof. Bhargav Bhatt is an internationally renowned expert in arithmetic algebraic geometry and commutative algebra. He has made fundamental contributions to both subjects. Prof. Bhatt is at the forefront of a revolution in p-adic geometry. For each prime p, there is a p-adic geometry, with a very different flavor from the geometry of the real world we live in. Despite this difference, p-adic geometry has found spectacular applications in solving famous conjectures in number theory, like the Mordell conjecture and Fermat’s Last Theorem. One of Bhatt's significant mathematical contributions is his introduction (in joint work with Peter Scholze) of the theory of prismatic cohomology. He has applied these developments to solve long standing problems in commutative algebra.
Bhargav Bhatt
### Here the article breaks off for crystal structures
~~~
(1)
Computed PXRD pattern
Compound: Tm5Ni4Ag
Radiation: λ = 1.5418 Å (Cu Kα)
Structure: a crystal structure in Alexandria, relaxed with PBE
Peak positions follow from Bragg's law for the DFT cell and can differ from measured ones.

Crystal structure
```
data_Tm5Ni4Ag
_chemical_formula_sum 'Tm5 Ni4 Ag1'
_space_group_name_H-M_alt 'P 4/m m m'
_space_group_IT_number 123
_space_group_name_Hall '-P 4 2'
_cell_length_a 3.3568
_cell_length_b 3.3568
_cell_length_c 17.1816
_cell_angle_alpha 90.00
_cell_angle_beta 90.00
_cell_angle_gamma 90.00
loop_
_atom_site_label
_atom_site_type_symbol
_atom_site_fract_x
_atom_site_fract_y
_atom_site_fract_z
Tm1 Tm 0.0000 0.0000 0.0000
Tm2 Tm 0.0000 0.0000 0.1923
Tm3 Tm 0.0000 0.0000 0.3832
Ni1 Ni 0.5000 0.5000 0.0957
Ni2 Ni 0.5000 0.5000 0.2903
Ag1 Ag 0.5000 0.5000 0.5000
```

Largest 12 diffraction maxima, low angle first, 2θ = 10–90°:
Position (°2θ)	I_rel	index
25.93	8	0 0 5
26.55	20	1 0 0
33.89	4	1 0 4
37.45	100	1 0 5
37.91	54	1 1 0
46.50	7	1 1 5
53.32	6	0 0 10
54.69	18	2 0 0
67.27	13	1 1 10
68.17	34	2 1 5
79.90	8	2 0 10
81.02	6	2 2 0

***

(2)
Computed PXRD pattern
Compound: NiAgW2
Radiation: λ = 1.5418 Å (Cu Kα)
Structure: a crystal structure in Alexandria, relaxed with PBE
Peak positions follow from Bragg's law for the DFT cell and can differ from measured ones.

Crystal structure
```
data_NiAgW2
_chemical_formula_sum 'Ni1 Ag1 W2'
_space_group_name_H-M_alt 'P m m 2'
_space_group_IT_number 25
_cell_length_a 2.6828
_cell_length_b 3.9659
_cell_length_c 5.7410
_cell_angle_alpha 90.00
_cell_angle_beta 90.00
_cell_angle_gamma 90.00
loop_
_space_group_symop_operation_xyz
'x,y,z'
'-x,-y,z'
'-x,y,z'
'x,-y,z'
loop_
_atom_site_label
_atom_site_type_symbol
_atom_site_fract_x
_atom_site_fract_y
_atom_site_fract_z
Ni1 Ni 0.0000 0.0000 0.0000
Ag1 Ag 0.5000 0.5000 0.7559
W1 W 0.0000 0.0000 0.4823
W2 W 0.5000 0.5000 0.2295
```

Largest 12 diffraction maxima, low angle first, 2θ = 10–90°:
Position (°2θ)	I_rel	index
15.43	24	0 0 1
27.33	19	0 1 1
38.72	100	0 1 2
40.60	89	1 1 0
45.76	32	0 2 0
46.32	60	1 0 2
64.98	10	0 0 4
67.15	39	1 2 2
79.50	23	1 1 4
79.89	12	0 3 2
81.10	12	1 3 0
83.11	32	2 1 2

***

(3)
Computed PXRD pattern
Compound: Y2Ni2Ag3
Radiation: λ = 1.5418 Å (Cu Kα)
Structure: a crystal structure in Alexandria, relaxed with PBE
Peak positions follow from Bragg's law for the DFT cell and can differ from measured ones.

Crystal structure
```
data_Y2Ni2Ag3
_chemical_formula_sum 'Y4 Ni4 Ag6'
_space_group_name_H-M_alt 'C m m m'
_space_group_IT_number 65
_space_group_name_Hall '-C 2 2'
_cell_length_a 3.8605
_cell_length_b 19.5116
_cell_length_c 3.6051
_cell_angle_alpha 90.00
_cell_angle_beta 90.00
_cell_angle_gamma 90.00
loop_
_atom_site_label
_atom_site_type_symbol
_atom_site_fract_x
_atom_site_fract_y
_atom_site_fract_z
Y1 Y 0.0000 0.1644 0.0000
Ni1 Ni 0.0000 0.2861 0.5000
Ag1 Ag 0.0000 0.0000 0.0000
Ag2 Ag 0.0000 0.4280 0.5000
```

Largest 12 diffraction maxima, low angle first, 2θ = 10–90°:
Position (°2θ)	I_rel	index
~~~
### The crystal structures stop here
I would like to congratulate Bhargav for winning the Infosys Prize 2023 in Mathematical Sciences. His work has produced some of the most exciting and impactful mathematics done anywhere in the world over the last decade. His work on prismatic cohomology has introduced a powerful set of methods in p-adic geometry. And there is so much more to come!